== Request ==
Search the notes further below for the word "eV" and transcribe each line that has it.

== Given ==
'''
Computed, not measured: C4H7NO in the gas phase, with wB97M-V/def2-TZVPD.

```
13
C4H7NO, DFT wB97M-V/def2-TZVPD
C -1.831 -0.187 0.122
C -0.407 -0.487 -0.325
C 0.581 0.600 0.093
C 1.983 0.148 0.028
O 3.136 0.722 0.279
N 2.703 -0.845 -0.218
H -2.517 -0.982 -0.183
H -1.887 -0.104 1.212
H -2.196 0.752 -0.303
H -0.366 -0.608 -1.412
H 0.483 1.502 -0.518
H 0.399 0.927 1.121
H -0.080 -1.438 0.106
```

Computed properties:
- HOMO level: -9.71 eV
- LUMO level: 0.48 eV
- Orbital gap: 10.19 eV
- Total energy: -7795.8878 eV
- SMILES: CCCC1=NO1
- Relative energy (zero: lowest compared OMol25 entry of this formula, charge and spin): 3.757 eV

These are the Löwdin partial charges, in e, on atoms 1 to 4: -0.113 -0.260 -0.121 -0.541

~~~~~

Entry 1:
A 40-piece molecular cluster, H80O40 overall in a non-equilibrium geometry. Source: the OMol25 dataset; level of theory: the ωB97M-V functional and the def2-TZVPD basis.

Structure (ORCA input):
```
! wB97M-V def2-TZVPD RIJCOSX def2/J DEFGRID3
* xyz 0 1
H 2.031 0.966 -1.841
H 2.115 1.269 -0.348
O 1.943 1.689 -1.207
H -1.225 1.051 -4.257
H -1.897 -0.041 -5.240
O -1.936 0.845 -4.885
H -0.909 -1.676 2.169
H -0.175 -1.416 3.558
O -0.935 -1.265 3.027
H 4.406 1.377 -2.189
H 3.149 1.883 -2.683
O 4.023 1.670 -3.036
H 0.150 -4.728 -3.452
H -0.837 -4.333 -4.528
O -0.145 -3.980 -3.963
H -2.219 -3.012 1.748
O -3.067 -3.293 2.105
H 5.214 1.314 0.101
O 4.964 0.597 -0.488
H 1.153 -1.941 6.692
H 0.004 -1.716 5.831
O 0.824 -1.269 6.078
H -1.254 4.116 -1.348
H -2.457 3.672 -2.224
O -1.816 3.391 -1.567
H -1.989 -5.778 -1.422
H -0.732 -6.012 -2.050
O -1.585 -5.649 -2.318
H 3.493 -0.832 0.685
H 3.455 -2.344 0.099
O 3.133 -1.451 0.050
H -0.838 -1.017 -3.009
O -1.418 -1.399 -3.673
H 2.949 0.406 3.740
H 2.464 1.052 2.525
O 3.303 0.974 3.053
H 2.626 4.693 -2.636
H 1.893 3.756 -1.472
O 2.119 3.923 -2.377
H 2.957 0.839 5.944
H 1.698 1.476 5.939
O 2.609 1.719 5.730
H 0.383 0.198 3.429
H -0.387 0.483 4.760
O 0.482 0.458 4.353
H 0.500 0.427 1.357
H 1.701 -0.674 1.100
O 1.417 0.166 1.490
H 4.227 -2.432 4.964
H 3.919 -2.228 3.462
O 4.561 -2.095 4.161
H 2.295 2.753 3.817
O 1.945 3.468 3.254
H -6.268 0.437 -0.345
H -5.053 0.964 -1.124
O -5.613 1.102 -0.349
H -0.889 -1.640 0.515
O -0.350 -2.428 0.487
H -1.565 5.935 0.534
H -2.308 4.811 1.305
O -1.463 5.234 1.194
H 0.007 4.534 -4.581
H 0.602 4.617 -3.095
O 0.379 5.114 -3.914
H -0.506 2.549 -3.069
H 0.893 2.078 -3.110
O 0.117 2.099 -3.670
H -1.438 -3.298 3.509
H -0.133 -4.003 2.901
O -0.546 -3.631 3.676
H -5.456 -1.407 0.814
H -5.339 -2.727 -0.102
O -5.256 -2.322 0.757
H -4.531 4.684 0.712
H -5.153 3.451 1.355
O -4.654 4.249 1.562
H -2.065 2.068 2.430
H -1.133 1.585 1.311
O -1.601 1.288 2.096
H -3.923 2.358 -4.034
H -4.469 3.030 -2.854
O -4.046 2.197 -3.105
H 3.492 -4.191 -2.680
H 3.329 -2.793 -2.563
O 3.038 -3.579 -2.079
H 5.577 -1.507 -2.577
H 5.874 -2.260 -1.293
O 5.355 -2.320 -2.101
H 3.160 1.767 -5.681
O 2.274 1.564 -5.669
H -1.268 -0.095 -0.858
H 0.059 0.713 -1.286
O -0.303 -0.015 -0.783
H 2.594 3.724 2.598
H -3.739 -2.809 1.635
H 0.219 -2.286 -0.275
H 4.276 0.005 -0.154
H -1.206 -2.338 -3.694
H 1.559 2.104 -5.995
O 0.469 5.101 -0.437
H 1.261 4.759 -0.026
H -0.228 4.930 0.257
O 2.120 -3.857 1.839
H 2.062 -3.043 2.337
H 1.347 -4.414 1.902
O -2.208 3.262 3.018
H -3.042 3.472 3.454
H -1.546 3.327 3.720
O 1.499 -5.408 -0.877
H 1.685 -4.527 -1.230
H 2.096 -5.873 -0.309
O -3.937 -0.162 -2.124
H -3.611 0.712 -2.433
H -3.349 -0.680 -2.705
O -2.582 -0.576 0.039
H -2.984 -0.513 0.906
H -3.337 -0.200 -0.456
O -1.978 -5.316 0.290
H -1.959 -4.342 0.420
H -2.596 -5.311 1.055
*
```

Summary:
Total energy, Ha: -3057.4336
Energy above the lowest of the compared OMol25 structures with the same formula, charge and spin, kJ/mol: 850.0
Kohn-Sham gap, Eh: 0.36287
HOMO level, Ha: -0.380
'''

== Outcome ==
- HOMO level: -9.71 eV
- LUMO level: 0.48 eV
- Orbital gap: 10.19 eV
- Total energy: -7795.8878 eV
- Relative energy (zero: lowest compared OMol25 entry of this formula, charge and spin): 3.757 eV